### Input
=====
Compound: Y2HoAl2Zn3Cd
Source: OQMD via LeMat-Bulk
Functional: GGA-PBE
Structure: optimized geometry

abc: 4.458 7.012 7.012
angles: 119.84 90.00 90.00
Atoms (fractional coordinates):
Y 0.000 0.216 0.784
Y 0.000 0.784 0.216
Ho 0.000 0.351 0.351
Al 0.500 0.118 0.450
Al 0.500 0.450 0.118
Zn 0.500 0.032 0.032
Zn 0.500 0.536 0.783
Zn 0.500 0.783 0.536
Cd 0.000 0.782 0.782

Output
The total energy comes out at -33.22 eV/f.u. The density is 6.2 Mg/m³.

* * * * *

This record from Alexandria describes a relaxed SmPaTe2Se crystal. The functional is GGA-PBE.

The value obtained for the total energy is -5.9720 eV/atom. The total moment comes out at 0.1966 μB/atom. For the formation energy from raw total energies, the calculation gives -1175.4 meV/atom.

The space group is P4/nmm (No. 129, origin choice 2) and the conventional cell measures 4.3978, 4.3978 and 14.9158 Å, with angles of 90.00, 90.00 and 90.00 degrees. The distinct sites, in fractional coordinates, are Sm at (0.2500, 0.2500, 0.0860), Pa at (0.2500, 0.2500, 0.6286), Te at (0.2500, 0.2500, 0.2991), Te at (0.2500, 0.2500, 0.8722) and Se at (0.2500, 0.7500, 0.5000).

=====

This record from Alexandria describes a relaxed SmPaTeSe crystal. The functional is GGA-PBE.

The value obtained for the total energy is -6.2329 eV/atom. The total moment comes out at 0.2505 μB/atom. For the formation energy from raw total energies, the calculation gives -1022.6 meV/atom.

The space group is F-43m (No. 216) and the conventional cell measures 7.3669, 7.3669 and 7.3669 Å, with angles of 90.00, 90.00 and 90.00 degrees. The distinct sites, in fractional coordinates, are Sm at (0.0000, 0.0000, 0.0000), Pa at (0.0000, 0.0000, 0.5000), Te at (0.2500, 0.2500, 0.2500) and Se at (0.2500, 0.2500, 0.7500).

=====

This record from Alexandria describes a relaxed SmPaTl2Se4 crystal. The functional is GGA-PBE.

The value obtained for the total energy is -5.2644 eV/atom. The total moment comes out at 0.2550 μB/atom. For the formation energy from raw total energies, the calculation gives -1153.7 meV/atom.

The space group is P2/m (No. 10) and the conventional cell measures 7.2886, 4.1826 and 8.2629 Å, with angles of 90.00, 106.75 and 90.00 degrees. The distinct sites, in fractional coordinates, are Sm at (0.0000, 0.0000, 0.0000), Pa at (0.5000, 0.5000, 0.0000), Tl at (0.0000, 0.5000, 0.5000), Tl at (0.5000, 0.0000, 0.5000), Se at (0.2423, 0.5000, 0.2088) and Se at (0.2699, 0.0000, 0.7914).

=====

This record from Alexandria describes a relaxed Sm3PaTl3Se8 crystal. The functional is GGA-PBE.

The value obtained for the total energy is -5.2860 eV/atom. The total moment comes out at 0.0704 μB/atom. For the formation energy from raw total energies, the calculation gives -1377.5 meV/atom.

The space group is R-3m (No. 166, hexagonal axes) and the conventional cell measures 8.4952, 8.4952 and 23.4563 Å, with angles of 90.00, 90.00 and 120.00 degrees. The distinct sites, in fractional coordinates, are Sm at (0.0000, 0.5000, 0.0000), Pa at (0.0000, 0.0000, 0.0000), Tl at (0.0000, 0.5000, 0.5000), Se at (0.0000, 0.0000, 0.2641) and Se at (0.0077, 0.5039, 0.7345).

=====

This record from Alexandria describes a relaxed Sm2PaTl2Se6 crystal. The functional is GGA-PBE.

The value obtained for the total energy is -5.4302 eV/atom. The total moment comes out at 0.0978 μB/atom. For the formation energy from raw total energies, the calculation gives -1378.1 meV/atom.

The space group is C2/m (No. 12) and the conventional cell measures 7.3307, 12.6695 and 8.2034 Å, with angles of 90.00, 107.57 and 90.00 degrees. The distinct sites, in fractional coordinates, are Sm at (0.0000, 0.1668, 0.0000), Pa at (0.0000, 0.5000, 0.0000), Tl at (0.0000, 0.3318, 0.5000), Se at (0.2306, 0.3373, 0.2044) and Se at (0.2465, 0.0000, 0.2055).

=====

This record from Alexandria describes a relaxed SmTm2PaSe4 crystal. The functional is GGA-PBE.
=====

### Wanted
Now say how many lines of the rows above hold the word "choice", as a bare number.

### Response
1